When we think of bees, we often picture honey bees. We imagine a swarm buzzing around a honeycomb hive.
But honey bees are just one of 400 different types of bees in Ontario (and we’re discovering new bee species all the time!).
And honey bees aren’t even a native species.
In fact, honey bees are relatively new to Ontario. They were an agricultural import, brought to North America for honey production and crop pollination. Before honey bees crossed the ocean, Ontario’s major pollinators were native bees, whose behaviour is often very different from the stereotypical honey bees.
Here are five other types of bees buzzing around our parks:
Bumble bees
The entry is interrupted by calculated crystals:
┌──
(1)
Starting from a DFT-relaxed cell (GGA-PBE, Alexandria), the PXRD pattern of CsK7 was calculated for Cu Kα (λ = 1.5418 Å).

Principal peaks in the range 2θ = 10–90°, by intensity:
- hkl 2 2 2, 22.84°, I = 100
- hkl 4 0 0, 26.43°, I = 51
- hkl 6 2 2, 44.56°, I = 45
- hkl 4 4 0, 37.73°, I = 37
- hkl 1 1 1, 11.36°, I = 20
- hkl 6 6 2, 59.77°, I = 17
- hkl 8 4 0, 61.49°, I = 16
- hkl 3 1 1, 21.85°, I = 14
- hkl 4 4 4, 46.65°, I = 13
- hkl 10 2 2, 72.88°, I = 12

Crystal structure
```
data_CsK7
_chemical_formula_sum 'Cs4 K28'
_space_group_name_H-M_alt 'F m -3 m'
_space_group_IT_number 225
_space_group_name_Hall '-F 4 2 3'
_cell_length_a 13.4882
_cell_length_b 13.4882
_cell_length_c 13.4882
_cell_angle_alpha 90.00
_cell_angle_beta 90.00
_cell_angle_gamma 90.00
loop_
_atom_site_label
_atom_site_type_symbol
_atom_site_fract_x
_atom_site_fract_y
_atom_site_fract_z
Cs1 Cs 0.0000 0.0000 0.0000
K1 K 0.0000 0.0000 0.5000
K2 K 0.0000 0.2500 0.2500
```

---

(2)
Starting from a DFT-relaxed cell (GGA-PBE, Alexandria), the PXRD pattern of Cs4K was calculated for Cu Kα (λ = 1.5418 Å).

Principal peaks in the range 2θ = 10–90°, by intensity:
- hkl 1 1 2, 19.95°, I = 100
- hkl 2 1 1, 21.17°, I = 63
- hkl 2 0 0, 17.57°, I = 50
- hkl 4 1 1, 37.57°, I = 30
- hkl 3 1 2, 32.14°, I = 26
- hkl 3 2 3, 40.01°, I = 24
- hkl 2 2 0, 24.94°, I = 22
- hkl 3 0 3, 35.64°, I = 18
- hkl 3 0 1, 27.64°, I = 18
- hkl 4 1 5, 55.07°, I = 14

Crystal structure
```
data_Cs4K
_chemical_formula_sum 'Cs8 K2'
_space_group_name_H-M_alt 'I -4 2 m'
_space_group_IT_number 121
_space_group_name_Hall 'I -4 2'
_cell_length_a 10.0971
_cell_length_b 10.0971
_cell_length_c 11.3862
_cell_angle_alpha 90.00
_cell_angle_beta 90.00
_cell_angle_gamma 90.00
loop_
_atom_site_label
_atom_site_type_symbol
_atom_site_fract_x
_atom_site_fract_y
_atom_site_fract_z
Cs1 Cs 0.2005 0.2005 0.3457
K1 K 0.0000 0.0000 0.0000
```

---

(3)
Starting from a DFT-relaxed cell (GGA-PBE, Alexandria), the PXRD pattern of Cs6K7 was calculated for Cu Kα (λ = 1.5418 Å).

Principal peaks in the range 2θ = 10–90°, by intensity:
- hkl 1 1 0, 19.56°, I = 100
- hkl 1 0 7, 21.81°, I = 84
- hkl 1 1 4, 22.30°, I = 63
- hkl 2 1 7, 35.61°, I = 46
- hkl 3 0 0, 34.22°, I = 29
- hkl 2 2 0, 39.72°, I = 28
- hkl 3 1 7, 45.77°, I = 22
- hkl 2 0 3, 24.02°, I = 22
- hkl 4 1 0, 53.42°, I = 19
- hkl 3 0 4, 35.93°, I = 18

Crystal structure
```
data_Cs6K7
_chemical_formula_sum 'Cs12 K14'
_space_group_name_H-M_alt 'P 63/m m c'
_space_group_IT_number 194
_space_group_name_Hall '-P 6c 2c'
_cell_length_a 9.0767
_cell_length_b 9.0767
_cell_length_c 33.3502
_cell_angle_alpha 90.00
_cell_angle_beta 90.00
_cell_angle_gamma 120.00
loop_
_atom_site_label
_atom_site_type_symbol
_atom_site_fract_x
_atom_site_fract_y
_atom_site_fract_z
Cs1 Cs 0.0000 0.0000 0.2500
Cs2 Cs 0.3333 0.6667 0.0229
Cs3 Cs 0.3333 0.6667 0.1770
Cs4 Cs 0.3333 0.6667 0.7500
K1 K 0.0000 0.0000 0.0000
K2 K 0.1676 0.3352 0.6131
```


1.
└──

Like honey bees, Ontario’s 16 species of bumble bee are social. Females live together in a hive, but rather than creating honeycombs, they make wax honey “pots.” If you look inside a bumble bee nest, you’ll find little wax “barrels” full of honey.
Carpenter bees
These are large bees, and look similar to bumble bees.
Carpenter bees have developed a reputation for drilling into wooden siding to make their nests, but in parks, they take advantage of our dead standing trees instead.
Leaf-cutter bees
You may have seen signs of leaf-cutter bees around your garden or campsite. If you see a small crescent cut out of young leaves (especially on rose leaves), you may have been visited by leaf-cutters.
Leaf-cutter bees make their nests in small tunnels in wood. They pack these small spaces with the leaves they gather, making a cigar-shaped space to place pollen and eggs. When the eggs hatch, the young eat the pollen.
Mining bees
This type of bees got their names because they dig burrows in the ground. On your campsite, you may see what look like ant mounds, but with a larger hole and perhaps a bee flying in and out.
Mining bees pack their burrows (which are almost like tiny cave systems) with balls of pollen, then lay an egg on each ball. The pollen is food supply for the bee larva.
Sweat bees
Sweat bee nests are hard to find, but on hot summer days, sweat bees will often visit you. These small bees like the salt in your sweat and will land on your arms to drink it.
Like leaf-cutter bees, they typically make their nests in dead fallen logs (this is one reason we ask campers not to gather/burn the brush around their campsite).
Bee biodiversity
Misplaced materials data:
For Nd6SmSe8, a structure optimized by DFT (GGA-PBE) gives the calculated X-ray diffraction stick pattern in this record (Cu Ka).
Lines closer than 0.1° are merged.

Principal peaks in the range 2θ = 10–90°, by intensity:
2theta  Rel. int.  h k l
29.99  100  4 0 0
42.92  75  4 4 0
70.69  34  8 4 0
53.24  26  4 4 4
78.64  25  8 4 4
62.32  12  8 0 0
25.89  10  2 2 2
12.86  8  1 1 1
24.77  5  3 1 1
50.81  5  6 2 2
14.86  4  2 0 0
21.08  3  2 2 0

Crystal structure
```
data_Nd6SmSe8
_cell_length_a 11.9199
_cell_length_b 11.9199
_cell_length_c 11.9199
_cell_angle_alpha 90.00
_cell_angle_beta 90.00
_cell_angle_gamma 90.00
_symmetry_space_group_name_H-M 'F m -3 m'
_symmetry_Int_Tables_number 225
_symmetry_space_group_name_Hall '-F 4 2 3'
loop_
_atom_site_label
_atom_site_fract_x
_atom_site_fract_y
_atom_site_fract_z
Nd1 0.0000 0.2500 0.2500
Sm1 0.0000 0.0000 0.0000
Se1 0.0000 0.0000 0.2504
Se2 0.2500 0.2500 0.2500
```

=====

Starting from a DFT-relaxed cell (GGA-PBE, Alexandria), the X-ray diffraction stick pattern of Sr2Zn15Ga2 was simulated for Cu Kα, 1.54184 Å.
Intensities are scaled so that the largest is 100.

Most intense lines, 2θ = 10–90°, sorted by position:
| 2θ (°) | I (rel.) | h k l |
| --- | --- | --- |
| 33.49 | 34 | 3 0 0 |
| 35.00 | 20 | 0 2 4 |
| 38.87 | 60 | 2 2 0 |
| 39.31 | 100 | 0 3 3 |
| 40.62 | 51 | 0 0 6 |
| 44.08 | 63 | 2 2 3 |
| 45.27 | 21 | 1 1 6 |
| 63.78 | 18 | 3 3 3 |
| 70.38 | 22 | 6 0 0 |
| 73.03 | 21 | 0 3 9 |

```
data_Sr2Zn15Ga2
_space_group_name_H-M_alt 'R -3 m'
_space_group_IT_number 166
_space_group_name_Hall '-R 3 2"'
_cell_length_a 9.2685
_cell_length_b 9.2685
_cell_length_c 13.3283
_cell_angle_alpha 90.00
_cell_angle_beta 90.00
_cell_angle_gamma 120.00
loop_
_atom_site_label
_atom_site_type_symbol
_atom_site_fract_x
_atom_site_fract_y
_atom_site_fract_z
_atom_site_occupancy
Sr1 Sr 0.0000 0.0000 0.1636 1
Zn1 Zn 0.0000 0.2993 0.5000 1
Zn2 Zn 0.0000 0.5000 0.0000 1
Zn3 Zn 0.0101 0.5051 0.6564 1
Ga1 Ga 0.0000 0.0000 0.4024 1
```

=====

For Dy2ZnRu, the GGA-PBE geometry in the Materials Project gives the theoretical X-ray powder pattern in this record (a wavelength of 1.5418 Å).
Lines closer than 0.1° are merged.

abc: 6.954 6.954 6.954
angles: 90.00 90.00 90.00
Space group Fm-3m (No. 225)
Asymmetric unit:
Dy  0.250  0.250  0.250
Zn  0.000  0.000  0.000
Ru  0.000  0.000  0.500
Protecting our native bees species is a key part of protecting our province’s biodiversity.
Each bee species is critical for the pollination of crops, backyard gardens, and park wildflowers. They provide valuable food for other wildlife, and are an important cog in Ontario’s ecosystems.
Want to help?
Report sightings on websites like Bumble Bee Watch, or plant a pollinator garden (bees love plants with colourful flowers, such as milkweed, asters, and trilliums).